White Lies, Black Boogeyman

David Malebranche
6 min readMay 28, 2020


During my second year of medical school, we had a weekly course on medicine and humanities. In it we tackled various social topics and how they played out in healthcare settings — ranging from caregiver burnout to sexism to domestic abuse. The class and its readings provided us with a reprieve from cumbersome histology and pathology lectures, and helped us better understand the pervasive influence of structural issues on medical outcomes.

The director assigned two readings for the week we were to discuss alcoholism. One was an empathic tale explaining how an Irish family patriarch came to struggle with alcohol abuse and the tragic context in which he passed his predilection for imbibing to his young son. The other was a nonfiction story called “Brute” by Richard Selzer, about a white emergency room doctor and his encounter with an intoxicated Black man who had sustained a laceration on his forehead.

A physician himself, Selzer based the narrative on a true experience he had as an overworked and exhausted clinician facing a challenging patient. In this telling, however, the Black male patient was vividly described in racialized animalistic terms — a mythical bull-like beast. Bucking. Snarling. Nostrils flaring. Flinging policeman around like pesky gnats. Menacing. Murdering.

Anything but human.

The honorable white ER doctor struggles to treat his unruly subject, and the story concludes with him being drawn into the rage of this intimidating Black creature, becoming a “brute” himself as he violently sutures and ties his patient’s earlobes to the stretcher in order to complete the stitching of his laceration. Nowhere in the story is context given behind the Black man’s life, background, who he loves, or the origins of his inebriated state. No, that is reserved for the verbally abusive, wife-beating white alcoholic in the other narrative. He is deserving of such context.

Being one of the few Black males in my class, people charged me with the task of bringing the problematic nature of this story to our instructors.

“David, you need to say something,” I remember one of my fellow Black colleagues telling me.

I presented our concerns to the course co-director, a white woman who always led the charge against misogyny yet was conspicuously silent on all things racial. She dismissed me as “misreading” the story and instructed me to think more about it — which I did, as I made copies of the story and distributed to every Black administrator and faculty in the medical school. They were equally concerned and elevated our complaint to the course director, a white male professor nationally renowned for his work in medical ethics. He listened to our objections and even entertained our suggestions that he could utilize the story as part of a week discussing “racism in medicine.” Ultimately he rejected that idea and instead offered to remove the story from the curriculum entirely, but not before lecturing me about how there was a better, more tactful way to voice my objection to his course’s content.

That was almost 30 years ago. A few years after Charles Stuart, a white man in Boston, shot his pregnant wife in the head and himself in the stomach, alleging that a Black assailant had robbed them at gunpoint — all for the money in her life insurance policy. A year or two before Susan Smith, the white woman in South Carolina who concocted a story about a Black man robbing her at gunpoint and kidnapping her two young boys. In actuality, she had strapped them both in their seat belts as she sent her car off a boat ramp into a lake, drowning them within minutes. All because the chief executive at the company where she worked told her he wanted to be with her but didn’t want a family.

In both cases, fabricated stories of Black predators and white victimhood were believed without question. In both cases, law enforcement subsequently profiled, harassed, and interrogated any random Black man they could find, traumatizing numerous families and communities in the process.


The fantastical and terrifying Black boogeyman.

He exists in the psyche of many white people in the United States. A byproduct of overactive racialized fantasies. A figment of their imagination. A common scapegoat for all their shortcomings, failures, insecurities, and capitalistic ambitions. The Obama to your Trump. He exists because they know large pockets of American society will believe them when they conjure him up. A literal Candyman, Mandingo, and Shaka Zulu warrior all wrapped into one exquisite imaginary monster, hunting them down even if they don’t speak his name five times in the mirror.

His only purpose is to rape white women with his large phallus, rob white people of everything they’ve worked so hard for, and incite endless violence and destruction, leaving nothing but a trail of chaste pasty bodies in his wake.

Was he born out of generations-long guilt over how white supremacy was constructed and maintained on the social atrocities of slavery, Jim Crow, and the prison industrial system? Angst over the historical racist policies and institutions that have kept a metaphorical knee on the neck of Black America for hundreds of years? Have white people conveniently buried the racial sins of American history like a corpse in their backyard, and now their fragile collective psyche is afraid that the chickens have come home to roost like so many phantoms in a Poltergeist-themed horror movie?

Whatever the origin story of this exaggerated racial caricature they have created may be, it doesn’t matter now. He’s here to stay. Meanwhile, the Susan Smiths of the world have mutated into BBQ Becky, Permit Patty. Golfcart Gail, Cornerstone Caroline, and most recently Amy Cooper. All of them more evolved iterations of the former, invoking racialized tropes seemingly at will in order to appease their insatiable need to play the victim. Calling 911 on Black people everywhere for everything under the sun. Not necessarily to cover up their own crimes, but simply because they can — and to report the audacity of Black people to engage in even the most mundane of activities without their approval. Walking. Shopping. Barbecuing. Driving. Learning. Swimming. Eating. Breathing. Existing.

I use these white women’s social media nicknames not out of respect for their privacy, but because they don’t deserve acknowledgement as human beings with real feelings. They are faceless, race-baiting drones who, when feeling threatened, anxious or bored, thrive on weaponizing an already racist police force into injuring, incarcerating, or murdering Black men.

The lies told by these white women are anything but little. Their histrionics mislead first responders and law enforcement, leading to testosterone-filled encounters that choose shooting first over de-escalation tactics. They constitute a proverbial dog whistle, wielding words like “threatened” and “suspicious” that inspire trigger-happy white cops and citizens with guns to act out their innermost prejudicial fantasies with impunity.

The Black boogeyman in today’s society doesn’t have a gender or age in the eyes of these fragile demons. Anyone of a darker hue can fit the description. Even pre-pubescent Black girls and boys who sell water or play with toy guns pose a threat in their passive-aggressive world.

The fictional story I read for my medical school humanities class had the roles all twisted. The reality for Black America is that our worst nightmare exists in the physical embodiment of a fair-haired maiden with pale skin. A Goldilocks-like apparition with the rotting heart of an evil queen.

She’s the true brute.

• Between two parts of the text: data records:
........
65
Properties=species:S:1:pos:R:3:forces:R:3:lowdin_charge:R:1 method="wB97M-V/def2-TZVPD" total_energy_ha=-1997.6415 orbital_gap_ev=5.70 e_lumo_ev=-5.17 charge=+1
O -1.702951 -0.217222 -4.113453 -0.16 0.18 0.14 -0.188
H 6.522319 3.685219 2.592413 0.01 0.13 -0.02 0.091
C -1.018425 0.555039 -3.154034 -0.06 -0.13 -0.27 -0.106
H -1.422964 1.158100 3.601333 0.33 0.08 -0.24 0.198
F -1.055176 -3.749416 1.854784 0.63 0.41 0.04 0.188
H 4.151314 -0.058417 1.826847 -0.10 0.04 -0.01 0.129
C -3.166124 -0.832047 -8.462434 0.05 0.10 0.10 -0.108
C 0.355257 -1.594142 0.407058 0.30 -1.24 0.50 -0.433
C -2.469881 -1.253525 -3.519277 0.34 0.04 -0.47 -0.208
H 7.094551 3.463724 4.255445 -0.09 0.00 0.03 0.092
H -2.975451 -0.882993 -2.618348 -0.07 -0.03 0.01 0.119
H 4.980345 1.021421 2.936971 -0.07 0.03 0.22 0.127
C 3.974589 3.594379 3.268639 0.18 -0.03 0.49 -0.205
H -0.442427 1.314263 -3.681334 -0.01 -0.07 -0.02 0.094
H 1.962000 -0.317728 5.909949 -0.04 -0.13 0.01 0.075
C -1.802753 -2.729504 1.431362 -1.50 0.08 -0.55 -0.357
O -4.672335 -0.976838 -4.566510 0.19 0.05 0.01 -0.130
C 6.278114 3.849559 3.647419 -0.07 -0.09 0.09 -0.098
C 3.614657 -0.398397 3.850883 0.46 0.19 0.30 -0.202
O 0.743504 -0.639264 -0.136867 0.30 2.48 -0.87 0.216
H 4.242939 3.768987 2.220359 -0.09 0.01 -0.04 0.132
H 6.161260 4.919601 3.843701 0.06 0.04 -0.08 0.091
N -1.203538 0.658089 2.724676 -1.23 0.21 -0.07 0.328
F -2.938770 -3.281037 0.961398 -0.09 0.32 0.13 0.180
H -3.699024 0.842322 -4.874718 0.13 -0.06 -0.17 0.120
H -5.212493 -0.645705 -7.080052 -0.06 0.03 0.04 0.130
H -3.561605 -0.128884 -9.203219 -0.04 -0.08 -0.06 0.090
H -5.451716 0.822011 -5.010820 -0.03 -0.09 -0.01 0.127
O 1.226345 -2.344985 1.115249 -0.79 -0.78 -0.24 0.147
C -1.149011 -0.814674 3.103683 -1.66 -0.04 -1.48 -0.262
F -1.271917 -2.700728 -0.848450 0.12 -0.17 0.31 0.166
C -2.240087 -1.833016 2.645330 0.29 0.35 -0.36 -0.366
C -1.170040 -1.934143 0.255886 1.03 -1.23 -0.34 -0.361
H -3.751108 -1.758255 -8.477367 -0.07 0.03 -0.10 0.089
H 1.082782 -3.300665 0.985470 -0.09 0.21 0.37 0.145
H 3.315669 -1.451300 6.233043 -0.12 -0.04 0.03 0.093
H 2.724093 2.196417 4.361491 0.25 0.03 0.05 0.120
H -1.978784 0.863855 2.077000 0.38 0.06 -0.18 0.177
H -1.780919 -2.062410 -3.242207 -0.11 -0.09 0.11 0.117
O -3.177413 -0.259310 -7.171042 -0.03 -0.24 0.08 -0.205
F -3.347575 -1.141987 2.317833 -0.02 -0.06 0.13 0.163
H 3.236825 0.116455 7.064823 0.06 0.01 -0.05 0.094
H 3.637051 4.538232 3.717848 -0.12 0.07 -0.18 0.131
C 3.034785 -0.398078 6.127188 0.23 0.06 -0.05 -0.103
H -0.334583 -0.068248 -2.567798 0.02 0.06 0.11 0.071
H 1.927739 3.070100 3.055683 0.05 0.04 -0.11 0.114
O 5.102108 3.143647 3.997356 0.00 -0.17 -0.18 -0.201
C -4.543850 0.265324 -5.254598 -0.27 -0.08 -0.05 -0.177
H -2.134896 -1.070242 -8.717792 0.00 0.06 0.06 0.089
H 4.243217 -1.297742 3.829493 -0.13 -0.11 -0.18 0.134
F -1.842099 -0.800237 -0.001667 -0.10 0.11 0.75 0.153
C -4.485751 0.110497 -6.761873 0.45 0.20 0.02 -0.202
H 2.563811 -0.686395 3.713592 -0.01 -0.06 -0.05 0.105
........

